Work order =
The reader should reproduce only the lines below with the word "structure" in them.

Source =
'''
Run a
A 4-piece molecular cluster, C2H12N2O3 overall. Source: the OMol25 dataset; level of theory: ωB97M-V with the def2-TZVPD basis set.

Summary:
**HOMO**: -8.9 eV
**SMILES**: [H]/N=C/NC.O.O.O

Atoms and positions in Å:
H (3.39023, 1.80398, -0.05646)
N (0.43832, -0.15107, 0.34817)
H (-0.90605, -0.25995, 1.97912)
H (0.55791, 1.04943, -2.14660)
H (-0.67432, 3.27394, -1.08805)
H (2.11849, 1.80790, 0.85349)
H (-2.35062, -1.89965, 2.14739)
H (-2.13218, -3.53401, 1.50081)
O (3.05841, 1.98013, 0.82902)
N (-0.88134, -1.98207, 0.72304)
O (0.06776, 2.67619, -1.20509)
H (0.82566, -0.42053, -2.29758)
H (1.22780, 0.42758, 0.50808)
H (-0.27608, -2.47851, 0.10530)
C (-2.13968, -2.47350, 1.21802)
H (0.40376, 2.88694, -2.13095)
H (-2.89178, -2.28307, 0.42209)
C (-0.35599, -0.77173, 1.10316)
O (0.51971, 0.34798, -2.81297)

Run b
A 4-piece molecular cluster, C2H12N2O3 overall. Source: the OMol25 dataset; level of theory: ωB97M-V with the def2-TZVPD basis set.

Summary:
**HOMO**: -8.8 eV
**SMILES**: C/N=C\N.O.O.O

Atoms and positions in Å:
O (1.98038, 0.36174, -0.17101)
C (-1.50115, -0.39189, -0.91140)
H (0.45454, -0.37969, 1.33607)
H (-0.29323, 1.86827, -1.21235)
H (0.00511, 0.38873, 2.73595)
N (-1.37392, 0.78241, -0.09608)
H (0.88052, 2.35795, -2.19686)
H (1.56182, 1.16849, -0.52884)
N (-0.32730, 0.00472, 1.86178)
H (-0.70147, -1.12095, -0.77405)
H (1.86339, -2.68496, 0.88532)
C (-1.10921, 0.87866, 1.12390)
H (-1.57256, -0.19748, -1.97721)
O (0.49811, 2.43194, -1.31784)
H (-2.46247, -0.83412, -0.64619)
H (0.43720, -3.25632, 0.82162)
H (-1.30720, 1.81178, 1.64724)
H (1.82240, -0.29988, -0.86159)
O (1.14505, -2.88939, 0.28156)

Quick look at relative energies in kJ/mol: run a 93.2; run b 0.0.

Run a
A 2-piece molecular cluster, C2H8N6 overall. Source: the OMol25 dataset; level of theory: ωB97M-V with the def2-TZVPD basis set.

Summary:
**HOMO**: -8.9 eV

Atoms and positions in Å:
H (1.41314, -0.21599, -1.48233)
H (-1.04555, 0.95700, -2.33277)
C (0.31904, -0.45449, -1.48133)
H (1.97589, -0.68305, 0.24946)
H (-1.61018, -1.64347, -0.75508)
H (0.06556, -1.22240, -2.27128)
N (-0.96473, -1.61652, 0.16022)
N (0.46013, 1.35481, 2.77024)
N (0.15280, -1.11436, -0.16121)
N (1.02307, 2.32919, 3.06304)
H (-1.45106, 0.58485, -0.69149)
H (-0.38008, -0.35837, 2.36260)
H (-0.14084, 1.73616, -1.02873)
N (1.09151, -1.01713, 0.70085)
N (-0.33823, 0.63062, 2.32947)
C (-0.57047, 0.73315, -1.43166)

Run b
The molecule C2H8N6. Source: the OMol25 dataset; level of theory: ωB97M-V with the def2-TZVPD basis set.

Summary:
**HOMO**: -8.1 eV
**SMILES**: [H]/N=C(\N)NN=C(N)N

Atoms and positions in Å:
N (-1.01007, 1.96518, -0.51506)
H (1.56356, 0.56053, -0.60777)
H (0.87245, -2.11995, 2.18992)
C (1.37094, -0.70494, 0.93620)
N (2.53452, -0.42046, 1.27283)
N (-2.45689, 0.36626, -1.34512)
H (-0.35067, -1.84692, 0.97076)
C (-1.17946, 0.65327, -0.90553)
N (0.83958, 0.15508, -0.02993)
H (-0.19456, 2.20149, -0.04234)
N (-0.34457, -0.32110, -0.73854)
H (2.98434, -1.04871, 1.86182)
H (-1.86258, 2.39365, -0.14880)
N (0.62054, -1.77673, 1.23650)
H (-2.84585, 0.95085, -2.04887)
H (-2.59730, -0.55853, -1.52358)

Run c
C2H8N6 as an isolated structure. Source: the OMol25 dataset; level of theory: ωB97M-V with the def2-TZVPD basis set.

Summary:
**HOMO**: -7.1 eV

Atoms and positions in Å:
H (-3.24840, 0.96219, 1.22728)
N (0.31790, 0.63853, -0.16460)
H (-0.40367, -1.48704, -0.27449)
H (3.47580, 0.53297, -1.18291)
C (-1.92472, -0.06333, -0.17851)
H (-1.62138, 1.87087, 0.14814)
H (2.41096, 1.96268, -0.05917)
H (-3.49970, -0.87905, -0.80119)
N (2.71812, 0.75025, -0.36148)
C (1.58150, 0.03291, -0.07881)
H (2.91680, -1.60124, 0.41306)
N (-2.46771, 1.26469, 0.13966)
N (1.83035, -1.20250, 0.25433)
H (0.95811, -1.26702, 1.36816)
N (-0.53411, -0.30880, 0.04838)
N (-2.50982, -1.20611, -0.49784)

Quick look at relative energies in kJ/mol: run a 495.1; run b 0.0; run c 719.2.

Run a
'''

Written answer =
C2H8N6 as an isolated structure. Source: the OMol25 dataset; level of theory: ωB97M-V with the def2-TZVPD basis set.